The Bible says in Psalm 78, “We will not hide them from their children, but tell to the coming generation the glorious deeds of the Lord, and his might, and the wonders that he has done.” All throughout Scripture, parents are given the responsibility to pass on the gospel story to their children. What story is your family telling?
Based on your familial habits what story do your children see as important? It’s our desire to come alongside you and help you answer that question in a biblically faithful way. Please see the resources we have provided below as tools to use. We’re here to help in anyway you need!
Discipleship Guide
In the busyness of life, we often want to train our kids to become disciples, but either struggle to find the time, or we aren’t sure exactly what it looks like. Let’s learn to excel at discipleship so our kids are equipped to live out the gospel through childhood and into adult life.
Therefore, below is basic framework for family discipleship. Try not to think through the next ten steps you want to take. Focus on the one next step to see your kids raised to follow Jesus. This guide will help you do just that. Check out this free resource from our sending church, Mercy Hill:
-- Attached: calculated crystals --
____________
(1)
## Hf5ZnSb3 (PBE)

Data for a relaxed Hf5ZnSb3 crystal.

a = 8.5930 Å, b = 8.5930 Å, c = 5.7904 Å
α = 90.00°, β = 90.00°, γ = 120.00°
Closest atoms and distances in Å follow each position.
Element x y z (fractional)
Sb  0.6142  0.0000  0.2500  9 Hf 2.95-3.06
Sb  0.0000  0.3858  0.7500  9 Hf 2.95-3.06
Sb  0.0000  0.6142  0.2500  9 Hf 2.95-3.06
Hf  0.3333  0.6667  0.0000  2 Hf 2.90, 6 Sb 3.04
Hf  0.2694  0.0000  0.2500  2 Zn 2.73, 3 Sb 2.95-2.96
Hf  0.6667  0.3333  0.0000  2 Hf 2.90, 6 Sb 3.04
Hf  0.0000  0.2694  0.2500  2 Zn 2.73, 3 Sb 2.95-2.96
Hf  0.2694  0.2694  0.7500  2 Zn 2.73, 3 Sb 2.95-2.96
Zn  0.0000  0.0000  0.5000  6 Hf 2.73, 2 Zn 2.90
Hf  0.6667  0.3333  0.5000  2 Hf 2.90, 6 Sb 3.04
Hf  0.0000  0.7306  0.7500  2 Zn 2.73, 3 Sb 2.95-2.96
Hf  0.3333  0.6667  0.5000  2 Hf 2.90, 6 Sb 3.04
Hf  0.7306  0.7306  0.2500  2 Zn 2.73, 3 Sb 2.95-2.96
Zn  0.0000  0.0000  0.0000  6 Hf 2.73, 2 Zn 2.90
Hf  0.7306  0.0000  0.7500  2 Zn 2.73, 3 Sb 2.95-2.96
Sb  0.3858  0.3858  0.2500  9 Hf 2.95-3.06
Sb  0.3858  0.0000  0.7500  9 Hf 2.95-3.06
Sb  0.6142  0.6142  0.7500  9 Hf 2.95-3.06

Output
* calculated density: 11.87 g/cm3
* V: 185.1 Å³/f.u.
* magnetic moment: 0.00 μB/atom
* formation energy from raw total energies: -48 kJ per mole of atoms
* symmetry: No. 193
* DOS(E_F): 10.02 states/eV per cell

=====

(2)
## InCoNiAs (PBE)

Data for a relaxed InCoNiAs crystal.

a = 6.9022 Å, b = 3.3349 Å, c = 5.7104 Å
α = 90.00°, β = 105.81°, γ = 90.00°
Closest atoms and distances in Å follow each position.
Element x y z (fractional)
In  0.3263  0.0000  0.4759  3 Ni 2.76-2.77, 3 Co 2.77
Ni  0.0260  0.0000  0.0415  3 As 2.37, 1 Co 2.64
Co  0.6283  0.0000  0.9100  3 As 2.28
Co  0.6283  0.5000  0.4100  3 As 2.28
In  0.3263  0.5000  0.9759  3 Ni 2.76-2.77, 3 Co 2.77
As  0.8153  0.0000  0.3068  3 Co 2.28, 3 Ni 2.37
As  0.8153  0.5000  0.8068  3 Co 2.28, 3 Ni 2.37
Ni  0.0260  0.5000  0.5415  3 As 2.37, 1 Co 2.64

Output
* energy of formation from the pure elements: -0.047 eV/atom
* calculated density: 8.07 g/cm3
* V: 63.2 Å³/f.u.
* magnetic moment: 0.00 μB/atom
* symmetry: No. 8
* DOS(E_F): 2.61 states/eV per cell
____________

We also encourage you to check out these books about family worship:
Gospel Conversations
At Redemption Church, we’re passionate about seeing kids place faith in Jesus! We are excited to offer this Gospel Conversation Guide, written by the Kids Staff of Mercy Hill Church, as a tool for you. The first part of this guide focuses on having ongoing conversations about the gospel with your kids, while the second part helps you walk your child through making a commitment to Christ. We hope you will download it by clicking the button below.
Equipping Kids to Share the Gospel
Parents, check out these “gospel hand motions” for your kids to be equipped to share the gospel in their neighborhoods and schools. We encourage you to check it out and practice at home. Thanks to Mercy Hill for letting us use this great tool!
We encourage you to utilize the Gospel Conversation Guide (above) to, as best as possible, determine if your child has placed faith in Jesus. If you believe your child has made this decision, we want to celebrate with you! Your child’s next step is to proclaim their faith in Jesus publicly through baptism. Click here to submit a form for baptism, and a staff member will reach out to you to set up a time for baptism counseling.

Parent Commissioning
We want to encourage you as parents to grow deeper into the gospel as you raise your kids in the faith. Parent commissioning is a way for our church to say “We’re With You!” Click below to learn more and register.